SMART Attribute Details
SMART Attribute Details
Provides a detailed description of SMART Attribute support and how each may be used.
Kingston® DC1000H, DC1000B, A1000, A2000, KC1000 and KC2000 SMART Attribute Details
Byte Index Description
0 Critical Warning: This eld indicates critical warnings for the state of the controller. Each bit corresponds
to a critical warning type; multiple bits may be set. If a bit is cleared to ‘0’, then that critical warning does
not apply. Critical warnings may result in an asynchronous event notication to the host. Bits in this eld
represent the current associated state and are not persistent.
Bit Denition
00: If set to ‘1’, then the available spare space has fallen below the threshold.
01: If set to ‘1’, then a temperature is above an over temperature threshold or below an under temperature
02: If set to ‘1’, then the NVM subsystem reliability has been degraded due to signicant media related
errors or any internal error that degrades NVM subsystem reliability.
[Unrelated to this page: materials data]
+++
Record 1
Here is crystalline Hf2Sc4Ga3C3 at its relaxed geometry from OQMD. Energies are from PBE.

Results
space-group type: C2/c
size of the total moment: 0.00 μB per formula unit
crystal system: monoclinic

Cell: 5.723 5.723 14.727 Å, 101.43 101.43 59.98°
Element x y z (fractional)
C  0.500  0.000  0.000
C  0.823  0.338  0.000
C  0.177  0.662  0.000
C  0.338  0.823  0.500
C  0.000  0.500  0.500
C  0.662  0.177  0.500
Ga  0.286  0.416  0.250
Ga  0.882  0.118  0.250
Ga  0.584  0.714  0.250
Ga  0.416  0.286  0.750
Ga  0.118  0.882  0.750
Ga  0.714  0.584  0.750
Hf  0.528  0.357  0.083
Hf  0.643  0.472  0.417
Hf  0.357  0.528  0.583
Hf  0.472  0.643  0.917
Sc  0.193  0.034  0.090
Sc  0.868  0.696  0.090
Sc  0.304  0.132  0.410
Sc  0.966  0.807  0.410
Sc  0.034  0.193  0.590
Sc  0.696  0.868  0.590
Sc  0.132  0.304  0.910
Sc  0.807  0.966  0.910

Record 2
Here is crystalline Lu4GeSN2 at its relaxed geometry from OQMD. Energies are from PBE.

Results
space-group type: P-6m2
size of the total moment: 0.00 μB per formula unit
crystal system: hexagonal

Cell: 3.454 3.454 13.129 Å, 90.00 90.00 120.00°
Element x y z (fractional)
Ge  0.000  0.000  0.000
Lu  0.667  0.333  0.166
Lu  0.000  0.000  0.360
Lu  0.000  0.000  0.640
Lu  0.667  0.333  0.834
N  0.333  0.667  0.265
N  0.333  0.667  0.735
S  0.667  0.333  0.500

Record 3
Here is crystalline CsAg3SnO4 at its relaxed geometry from OQMD. Energies are from PBE.

Results
space-group type: P-43m
crystal system: cubic

Cell: 5.852 5.852 5.852 Å, 90.00 90.00 90.00°
Element x y z (fractional)
Ag  0.500  0.500  0.000
Ag  0.500  0.000  0.500
Ag  0.000  0.500  0.500
Cs  0.000  0.000  0.000
O  0.302  0.302  0.302
O  0.698  0.698  0.302
O  0.698  0.302  0.698
O  0.302  0.698  0.698
Sn  0.500  0.500  0.500

| no. | final energy (eV per atom) |
| --- | --- |
| 1 | -7.462 |
| 2 | -6.979 |
| 3 | -4.309 |


[1]
A plane-wave DFT calculation with PBE-GGA was carried out for LuCuNiSn after structural relaxation.

Summary:
The distance to the lowest polymorph of the same formula comes out at 0.2544 eV per atom. The total moment comes out at 0.0 μB per formula unit. Its total energy is -74.3 eV for the cell shown.

a = 6.537 Å, b = 6.537 Å, c = 6.537 Å
α = 90.00°, β = 90.00°, γ = 90.00°
Space group F-43m (No. 216)
One atom of each set of equivalent atoms:
1 Lu 0.000 0.000 0.000 (multiplicity 4)
2 Cu 0.250 0.250 0.750 (multiplicity 4)
3 Ni 0.000 0.000 0.500 (multiplicity 4)
4 Sn 0.250 0.250 0.250 (multiplicity 4)

=====

[2]
A plane-wave DFT calculation with PBE-GGA was carried out for LuCuNiSn after structural relaxation.

Summary:
The distance to the lowest polymorph of the same formula comes out at 0.3126 eV per atom. The total moment comes out at 0.0 μB per formula unit. Its total energy is -73.4 eV for the cell shown.

a = 6.569 Å, b = 6.569 Å, c = 6.569 Å
α = 90.00°, β = 90.00°, γ = 90.00°
Space group F-43m (No. 216)
One atom of each set of equivalent atoms:
1 Lu 0.000 0.000 0.000 (multiplicity 4)
+++
[So much for the materials data]
03: If set to ‘1’, then the media has been placed in read only mode.
04: If set to ‘1’, then the volatile memory backup device has failed. This eld is only valid if the controller
has a volatile memory backup solution.
07:05: Reserved
2:1 Composite Temperature: Contains a value corresponding to a temperature in degrees Kelvin that
represents the current composite temperature of the controller and namespace(s) associated with that
controller. The manner in which this value is computed is implementation specic and may not represent the
actual temperature of any physical point in the NVM subsystem. The value of this eld may be used to trigger
an asynchronous event.
Warning and critical overheating composite temperature threshold values are reported by the WCTEMP and
CCTEMP elds in the Identify Controller data structure.
3 Available Spare: Contains a normalized percentage (0 to 100%) of the remaining spare capacity available.
4 Available Spare Threshold: When the Available Spare falls below the threshold indicated in this eld, an
asynchronous event completion may occur. The value is indicated as a normalized percentage (0 to 100%).
5 Percentage Used: Contains a vendor specic estimate of the percentage of NVM subsystem life used
based on the actual usage and the manufacturer’s prediction of NVM life. A value of 100 indicates that the
estimated endurance of the NVM in the NVM subsystem has been consumed, but may not indicate an NVM
subsystem failure. The value is allowed to exceed 100. Percentages greater than 254 shall be represented as
255. This value shall be updated once per power-on hour (when the controller is not in a sleep state).
Refer to the JEDEC JESD218A standard for SSD device life and endurance measurement techniques
31:6 Reserved
47:32 Data Units Read: Contains the number of 512 byte data units the host has read from the controller; this
value does not include metadata. This value is reported in thousands (i.e., a value of 1 corresponds to 1000
units of 512 bytes read) and is rounded up. When the LBA size is a value other than 512 bytes, the controller
shall convert the amount of data read to 512 byte units.
For the NVM command set, logical blocks read as part of Compare and Read operations shall
be included in this value.
63:48 Data Units Written: Contains the number of 512 byte data units the host has written to the controller;
this value does not include metadata. This value is reported in thousands (i.e., a value of 1 corresponds to
1000 units of 512 bytes written) and is rounded up. When the LBA size is a value other than 512 bytes, the
controller shall convert the amount of data written to 512 byte units.
For the NVM command set, logical blocks written as part of Write operations shall be included
in this value. Write Uncorrectable commands shall not impact this value.